(Excerpt)
~~~
ORCA calculation (ωB97M-V with the def2-TZVPD basis set) on a 3-piece molecular cluster, C18H18BClO9P overall at a distorted geometry.

```
48
Properties=species:S:1:pos:R:3:mulliken_charge:R:1
Cl 2.510 2.362 -2.870 -0.399
P 1.803 1.298 -1.142 0.326
O 2.278 2.356 0.201 -0.545
O 2.699 9.088 -1.911 -0.585
O -2.453 -2.296 0.603 -0.568
O 0.355 -3.241 -0.120 -0.605
O -4.069 -3.372 3.857 -0.548
O -0.020 4.544 -2.394 -0.526
O -5.784 -7.712 1.310 -0.571
O -0.528 -0.989 -0.337 -0.201
O 6.145 -0.099 0.026 -0.557
C 1.962 -1.696 -1.357 -0.523
C -3.962 -4.719 1.927 -0.144
C 5.387 -1.007 -0.597 0.009
C -0.084 6.894 -2.232 -0.402
C 0.606 5.590 -2.283 0.508
C -1.429 -1.427 0.759 0.552
C -1.177 -0.747 2.259 -0.694
C 0.600 8.036 -2.109 -0.357
C 2.079 5.596 -2.195 0.163
C -4.392 -5.811 1.288 -0.436
C -4.464 -4.370 3.271 0.331
C -5.461 -5.273 3.879 -0.356
C 2.074 8.042 -2.021 0.367
C 2.763 6.738 -2.072 -0.577
C -5.389 -6.714 1.897 0.388
C -5.892 -6.365 3.240 -0.367
C 0.553 -1.968 -0.565 0.502
C 4.244 -0.390 -1.648 -0.395
B 2.772 -0.332 -0.862 0.228
H -5.820 -5.002 4.865 0.402
H 3.845 6.759 -2.005 0.414
H -0.346 0.086 2.111 0.214
H 0.110 9.001 -2.070 0.390
H 1.823 -1.637 -2.536 0.275
H -1.165 6.873 -2.299 0.409
H -4.034 -6.082 0.303 0.440
H 2.105 1.902 1.080 0.274
H 2.570 4.631 -2.235 0.137
H 2.704 -2.602 -1.128 0.132
H -2.225 -0.250 2.547 0.287
H 5.566 -2.153 -0.431 0.251
H -6.622 -7.038 3.674 0.394
H -0.842 -1.552 3.068 0.257
H 4.614 0.655 -2.025 0.207
H -3.231 -4.047 1.494 0.513
H 3.044 -0.356 0.306 -0.208
H 4.180 -1.202 -2.520 0.192
```

Calculated values
Kohn-Sham gap: 4.679 eV
lowest unoccupied orbital energy: 0.00616 Eh
total charge: -1
HOMO level: -4.51 eV


ORCA calculation (ωB97M-V with the def2-TZVPD basis set) on C18H18CaN4Se as an isolated structure at a distorted geometry.

```
42
Properties=species:S:1:pos:R:3:mulliken_charge:R:1
Se 1.185 -4.138 -0.652 -1.112
Ca 0.282 -1.920 -0.017 0.927
N 2.103 -0.200 -0.042 -0.390
N -1.065 -1.950 1.960 -0.243
N -0.303 0.708 0.900 0.844
N -0.693 -0.332 -1.909 -0.378
C 2.773 1.900 -0.807 -0.696
C 3.794 1.368 -1.555 -0.283
C 0.765 1.694 0.675 -1.649
C -1.431 0.935 0.028 -0.999
C 3.958 -0.024 -1.616 -0.820
C -0.447 1.941 -3.505 -0.437
C -1.635 -3.114 2.266 -0.090
C -0.887 2.008 -2.193 -0.256
C -3.075 -2.022 3.781 -0.368
C -0.713 0.480 2.293 -1.075
C 1.913 1.086 -0.067 1.233
C -0.176 0.699 -4.029 -0.509
C -2.626 -0.814 3.373 -0.652
C -1.089 0.866 -1.426 0.486
C -0.246 -0.368 -3.219 -0.304
C -1.491 -0.821 2.561 0.542
C -2.627 -3.174 3.237 -0.636
C 3.096 -0.743 -0.779 -0.010
H 2.586 2.980 -0.878 0.323
H -1.359 1.267 2.647 0.260
H 0.408 2.583 0.164 0.193
H 1.177 2.047 1.646 0.589
H -1.874 1.901 0.218 0.396
H -3.889 -2.108 4.486 0.392
H -3.035 0.173 3.613 0.354
H -0.060 -1.366 -3.621 0.444
H 0.184 0.315 2.885 0.463
H -1.124 3.001 -1.740 0.311
H 4.478 2.069 -2.077 0.361
H -1.226 -3.984 1.736 0.367
H -0.405 2.915 -4.130 0.303
H 0.193 0.518 -5.026 0.410
H 4.639 -0.580 -2.237 0.458
H 3.105 -1.818 -0.704 0.393
H -3.043 -4.136 3.505 0.385
H -2.119 0.160 0.256 0.473
```

Calculated values
Kohn-Sham gap: 4.759 eV
lowest unoccupied orbital energy: -0.00637 Eh
total charge: 0
HOMO level: -4.93 eV


ORCA calculation (ωB97M-V with the def2-TZVPD basis set) on C18H18CdClO5 as an isolated structure at a distorted geometry.

```
43
Properties=species:S:1:pos:R:3:mulliken_charge:R:1
Cd -0.142 -0.638 1.135 1.187
Cl 3.886 -4.272 2.511 0.854
O 1.253 -2.352 1.686 -0.962
O 4.433 -2.873 2.604 -0.617
O -0.294 0.376 -0.783 -0.475
O 3.451 -4.553 1.101 -0.610
O 2.738 -4.460 3.451 -0.590
C 1.335 0.274 2.645 -1.622
C 0.818 -3.269 0.747 0.409
C -0.669 -2.868 0.420 -1.333
C 3.230 -0.363 1.434 -0.315
C 2.352 -0.789 2.480 0.326
C -0.783 -2.541 -0.919 0.021
C -3.950 2.208 -2.821 -0.536
C 0.507 -2.706 -1.552 -0.646
C 1.727 1.352 1.797 -0.247
C 0.021 1.663 -1.202 -0.923
C -2.196 2.848 -1.222 1.032
C -3.025 3.951 -0.824 -0.545
C 1.424 -3.145 -0.634 -0.451
C -4.206 4.229 -1.493 -0.415
C -2.735 1.944 -2.210 -0.399
C 2.871 0.942 1.050 -0.696
~~~

(Assignment)
What is needed: duplicate the whole of the block further above unchanged.

(Response)
ORCA calculation (ωB97M-V with the def2-TZVPD basis set) on a 3-piece molecular cluster, C18H18BClO9P overall at a distorted geometry.

```
48
Properties=species:S:1:pos:R:3:mulliken_charge:R:1
Cl 2.510 2.362 -2.870 -0.399
P 1.803 1.298 -1.142 0.326
O 2.278 2.356 0.201 -0.545
O 2.699 9.088 -1.911 -0.585
O -2.453 -2.296 0.603 -0.568
O 0.355 -3.241 -0.120 -0.605
O -4.069 -3.372 3.857 -0.548
O -0.020 4.544 -2.394 -0.526
O -5.784 -7.712 1.310 -0.571
O -0.528 -0.989 -0.337 -0.201
O 6.145 -0.099 0.026 -0.557
C 1.962 -1.696 -1.357 -0.523
C -3.962 -4.719 1.927 -0.144
C 5.387 -1.007 -0.597 0.009
C -0.084 6.894 -2.232 -0.402
C 0.606 5.590 -2.283 0.508
C -1.429 -1.427 0.759 0.552
C -1.177 -0.747 2.259 -0.694
C 0.600 8.036 -2.109 -0.357
C 2.079 5.596 -2.195 0.163
C -4.392 -5.811 1.288 -0.436
C -4.464 -4.370 3.271 0.331
C -5.461 -5.273 3.879 -0.356
C 2.074 8.042 -2.021 0.367
C 2.763 6.738 -2.072 -0.577
C -5.389 -6.714 1.897 0.388
C -5.892 -6.365 3.240 -0.367
C 0.553 -1.968 -0.565 0.502
C 4.244 -0.390 -1.648 -0.395
B 2.772 -0.332 -0.862 0.228
H -5.820 -5.002 4.865 0.402
H 3.845 6.759 -2.005 0.414
H -0.346 0.086 2.111 0.214
H 0.110 9.001 -2.070 0.390
H 1.823 -1.637 -2.536 0.275
H -1.165 6.873 -2.299 0.409
H -4.034 -6.082 0.303 0.440
H 2.105 1.902 1.080 0.274
H 2.570 4.631 -2.235 0.137
H 2.704 -2.602 -1.128 0.132
H -2.225 -0.250 2.547 0.287
H 5.566 -2.153 -0.431 0.251
H -6.622 -7.038 3.674 0.394
H -0.842 -1.552 3.068 0.257
H 4.614 0.655 -2.025 0.207
H -3.231 -4.047 1.494 0.513
H 3.044 -0.356 0.306 -0.208
H 4.180 -1.202 -2.520 0.192
```

Calculated values
Kohn-Sham gap: 4.679 eV
lowest unoccupied orbital energy: 0.00616 Eh
total charge: -1
HOMO level: -4.51 eV


ORCA calculation (ωB97M-V with the def2-TZVPD basis set) on C18H18CaN4Se as an isolated structure at a distorted geometry.

```
42
Properties=species:S:1:pos:R:3:mulliken_charge:R:1
Se 1.185 -4.138 -0.652 -1.112
Ca 0.282 -1.920 -0.017 0.927
N 2.103 -0.200 -0.042 -0.390
N -1.065 -1.950 1.960 -0.243
N -0.303 0.708 0.900 0.844
N -0.693 -0.332 -1.909 -0.378
C 2.773 1.900 -0.807 -0.696
C 3.794 1.368 -1.555 -0.283
C 0.765 1.694 0.675 -1.649
C -1.431 0.935 0.028 -0.999
C 3.958 -0.024 -1.616 -0.820
C -0.447 1.941 -3.505 -0.437
C -1.635 -3.114 2.266 -0.090
C -0.887 2.008 -2.193 -0.256
C -3.075 -2.022 3.781 -0.368
C -0.713 0.480 2.293 -1.075
C 1.913 1.086 -0.067 1.233
C -0.176 0.699 -4.029 -0.509
C -2.626 -0.814 3.373 -0.652
C -1.089 0.866 -1.426 0.486
C -0.246 -0.368 -3.219 -0.304
C -1.491 -0.821 2.561 0.542
C -2.627 -3.174 3.237 -0.636
C 3.096 -0.743 -0.779 -0.010
H 2.586 2.980 -0.878 0.323
H -1.359 1.267 2.647 0.260
H 0.408 2.583 0.164 0.193
H 1.177 2.047 1.646 0.589
H -1.874 1.901 0.218 0.396
H -3.889 -2.108 4.486 0.392
H -3.035 0.173 3.613 0.354
H -0.060 -1.366 -3.621 0.444
H 0.184 0.315 2.885 0.463
H -1.124 3.001 -1.740 0.311
H 4.478 2.069 -2.077 0.361
H -1.226 -3.984 1.736 0.367
H -0.405 2.915 -4.130 0.303
H 0.193 0.518 -5.026 0.410
H 4.639 -0.580 -2.237 0.458
H 3.105 -1.818 -0.704 0.393
H -3.043 -4.136 3.505 0.385
H -2.119 0.160 0.256 0.473
```

Calculated values
Kohn-Sham gap: 4.759 eV
lowest unoccupied orbital energy: -0.00637 Eh
total charge: 0
HOMO level: -4.93 eV


ORCA calculation (ωB97M-V with the def2-TZVPD basis set) on C18H18CdClO5 as an isolated structure at a distorted geometry.

```
43
Properties=species:S:1:pos:R:3:mulliken_charge:R:1
Cd -0.142 -0.638 1.135 1.187
Cl 3.886 -4.272 2.511 0.854
O 1.253 -2.352 1.686 -0.962
O 4.433 -2.873 2.604 -0.617
O -0.294 0.376 -0.783 -0.475
O 3.451 -4.553 1.101 -0.610
O 2.738 -4.460 3.451 -0.590
C 1.335 0.274 2.645 -1.622
C 0.818 -3.269 0.747 0.409
C -0.669 -2.868 0.420 -1.333
C 3.230 -0.363 1.434 -0.315
C 2.352 -0.789 2.480 0.326
C -0.783 -2.541 -0.919 0.021
C -3.950 2.208 -2.821 -0.536
C 0.507 -2.706 -1.552 -0.646
C 1.727 1.352 1.797 -0.247
C 0.021 1.663 -1.202 -0.923
C -2.196 2.848 -1.222 1.032
C -3.025 3.951 -0.824 -0.545
C 1.424 -3.145 -0.634 -0.451
C -4.206 4.229 -1.493 -0.415
C -2.735 1.944 -2.210 -0.399
C 2.871 0.942 1.050 -0.696